**What to do:**
Give back the whole of the listing further down character by character, please.

**File:**
=====
Molecular formula: C5H22N2O6
Method: DFT, ωB97M-V with the def2-TZVPD basis set

```
35
Properties=species:S:1:pos:R:3:mulliken_charge:R:1
H 1.725 -0.023 1.162 0.3316
O 1.405 2.113 0.998 -0.6132
O 1.846 -2.437 3.150 -0.6246
H 2.440 0.590 -1.388 0.3974
H -0.959 -2.517 3.222 0.2813
O -0.921 -1.651 2.811 -0.5779
H -1.116 0.949 -2.231 0.6132
H 0.446 2.270 1.012 0.3461
H 2.808 -0.832 -1.074 0.3257
H -0.532 -1.051 3.456 0.2838
O 1.362 2.036 -1.866 -0.6588
O 3.217 0.012 -1.322 -0.6389
H -3.200 1.977 0.540 0.4115
H -0.907 -2.749 -3.086 0.2722
H 3.159 0.363 1.405 0.3072
H -0.861 0.571 1.406 0.1878
N -0.085 -0.743 -2.859 -0.3069
C -2.312 1.429 0.228 -0.5412
C -1.033 -0.116 -2.029 -0.3056
C -0.226 -1.911 -3.302 -0.3085
H -2.877 -0.652 0.675 0.3168
H -1.910 1.958 -0.638 0.1525
H -1.587 -1.754 -0.808 0.3474
H 0.607 -2.320 -3.892 0.2447
H -1.740 1.748 2.201 0.2185
H -3.662 0.035 -0.697 0.3581
O 2.574 -0.400 1.413 -0.6349
C -1.662 -0.690 -1.016 -0.4159
H 2.156 -2.971 2.422 0.2850
H 1.859 2.857 0.588 0.2680
H 0.421 1.887 -1.896 0.2980
H 1.745 -1.510 2.936 0.3608
N -1.342 1.452 1.329 -0.4496
H 1.870 2.066 -2.676 0.2820
C -2.708 0.015 -0.174 -0.8135
```

Calculated values
DFT total energy in hartree: -764.58134
Orbital gap in eV: 9.762
LUMO in Ha: 0.0176
Structure (SMILES): C=N/C=C/CCN.O.O.O.O.O.O
Multiplicity: 1
ΔE to the lowest compared entry with this formula, charge and spin in kJ/mol: 381.3

---

Molecular formula: C41H33BrF6IMnN5O8S4
Method: DFT, ωB97M-V with the def2-TZVPD basis set

```
100
Properties=species:S:1:pos:R:3:lowdin_spin:R:1
C 4.297 1.182 -3.561 -0.0004
H 1.880 -0.619 5.869 0.0000
C -0.193 -5.775 4.055 -0.0001
C -2.014 2.738 3.205 -0.0005
C -1.748 -2.333 3.758 -0.0014
F -2.870 3.429 3.924 -0.0002
C 2.445 3.078 -2.687 0.0006
H 3.123 1.502 3.303 0.0021
H -4.491 -0.922 -0.064 0.0002
C 4.497 -0.948 2.912 0.0002
C -0.451 2.586 -9.076 0.0000
C -4.195 -1.777 -2.556 0.0007
C -3.070 -1.062 -2.191 0.0016
H 3.069 -0.262 -2.553 -0.0006
O -2.637 1.816 -1.087 0.0176
H 5.775 -2.401 1.994 0.0000
C 1.449 -0.961 4.931 0.0000
C 0.676 2.743 -8.249 0.0000
F -1.168 4.416 -0.170 -0.0002
C -1.359 -3.682 4.309 -0.0005
N -0.586 -1.413 3.723 -0.0094
C 6.402 -1.939 3.996 0.0001
C 2.287 1.730 -2.370 -0.0017
C -2.757 -0.320 -4.465 0.0006
H -1.713 -5.602 7.078 0.0000
H 6.790 -1.276 5.999 0.0000
H 2.993 1.255 5.043 0.0000
H 0.413 -6.443 3.456 0.0000
N -3.350 3.035 0.972 0.0029
H -2.393 -3.410 6.173 0.0000
C -0.600 -6.156 5.329 0.0001
C 0.702 2.238 -6.966 0.0000
H -3.139 -1.059 1.065 0.0001
H 5.019 0.456 -3.907 0.0000
C 1.126 1.322 -1.588 0.0048
F -1.438 1.805 3.981 0.0001
S -3.336 3.007 -0.613 0.0014
H -4.762 -2.353 -1.842 0.0000
C 4.236 -0.193 4.054 0.0000
H 1.711 3.797 -2.342 -0.0001
H -0.265 -4.250 2.545 -0.0010
N 1.800 0.002 3.884 -0.0007
H -0.459 -0.039 5.307 -0.0005
O 0.932 0.080 -1.279 -0.1072
Br -6.129 -2.719 -4.389 0.0001
C 5.574 -1.819 2.885 0.0000
C -1.579 1.919 -8.644 0.0000
H 4.865 0.270 6.053 0.0000
H 3.663 4.523 -3.696 -0.0001
S 1.300 1.168 1.560 0.0615
H 1.862 -1.947 4.706 0.0000
C -2.362 -0.346 -3.142 0.0014
H -2.133 -2.417 2.749 -0.0009
O -4.590 3.324 -1.193 0.0029
H -1.507 1.277 -2.593 0.0003
H -0.356 -1.752 5.763 0.0000
H -2.447 1.800 -9.280 0.0000
S -0.387 -1.637 1.107 -0.0666
C 1.081 0.062 2.771 0.0051
O -2.587 -1.015 -0.898 0.0289
C -3.898 -1.031 -4.837 0.0002
C 3.210 0.783 -2.804 0.0005
F -1.789 4.277 -2.243 0.0000
H -0.310 -7.121 5.723 0.0000
N -0.775 0.954 -5.352 0.0002
S -2.882 1.851 1.852 0.0046
N -2.552 0.692 -6.672 0.0000
C -0.048 -1.011 5.031 -0.0007
F -2.865 5.562 -0.871 0.0000
C -0.444 1.569 -6.540 0.0000
H 1.540 3.272 -8.629 0.0000
O 0.237 2.119 -1.177 -0.0117
C 3.054 0.748 4.080 0.0027
C -2.040 0.438 -5.505 0.0000
C -0.017 -0.985 2.631 -0.0029
I 6.081 3.132 -5.018 0.0007
C -1.572 1.398 -7.350 0.0000
C 5.062 -0.318 5.162 0.0002
C -3.531 -1.402 0.117 0.0015
Mn -0.663 0.419 -0.266 4.0127
H 1.568 2.359 -6.325 0.0000
H -0.187 0.820 -4.549 0.0000
C -2.211 4.424 -0.991 0.0000
H -4.216 -1.004 -5.869 0.0000
=====

**Outcome:**
Molecular formula: C5H22N2O6
Method: DFT, ωB97M-V with the def2-TZVPD basis set

```
35
Properties=species:S:1:pos:R:3:mulliken_charge:R:1
H 1.725 -0.023 1.162 0.3316
O 1.405 2.113 0.998 -0.6132
O 1.846 -2.437 3.150 -0.6246
H 2.440 0.590 -1.388 0.3974
H -0.959 -2.517 3.222 0.2813
O -0.921 -1.651 2.811 -0.5779
H -1.116 0.949 -2.231 0.6132
H 0.446 2.270 1.012 0.3461
H 2.808 -0.832 -1.074 0.3257
H -0.532 -1.051 3.456 0.2838
O 1.362 2.036 -1.866 -0.6588
O 3.217 0.012 -1.322 -0.6389
H -3.200 1.977 0.540 0.4115
H -0.907 -2.749 -3.086 0.2722
H 3.159 0.363 1.405 0.3072
H -0.861 0.571 1.406 0.1878
N -0.085 -0.743 -2.859 -0.3069
C -2.312 1.429 0.228 -0.5412
C -1.033 -0.116 -2.029 -0.3056
C -0.226 -1.911 -3.302 -0.3085
H -2.877 -0.652 0.675 0.3168
H -1.910 1.958 -0.638 0.1525
H -1.587 -1.754 -0.808 0.3474
H 0.607 -2.320 -3.892 0.2447
H -1.740 1.748 2.201 0.2185
H -3.662 0.035 -0.697 0.3581
O 2.574 -0.400 1.413 -0.6349
C -1.662 -0.690 -1.016 -0.4159
H 2.156 -2.971 2.422 0.2850
H 1.859 2.857 0.588 0.2680
H 0.421 1.887 -1.896 0.2980
H 1.745 -1.510 2.936 0.3608
N -1.342 1.452 1.329 -0.4496
H 1.870 2.066 -2.676 0.2820
C -2.708 0.015 -0.174 -0.8135
```

Calculated values
DFT total energy in hartree: -764.58134
Orbital gap in eV: 9.762
LUMO in Ha: 0.0176
Structure (SMILES): C=N/C=C/CCN.O.O.O.O.O.O
Multiplicity: 1
ΔE to the lowest compared entry with this formula, charge and spin in kJ/mol: 381.3

---

Molecular formula: C41H33BrF6IMnN5O8S4
Method: DFT, ωB97M-V with the def2-TZVPD basis set

```
100
Properties=species:S:1:pos:R:3:lowdin_spin:R:1
C 4.297 1.182 -3.561 -0.0004
H 1.880 -0.619 5.869 0.0000
C -0.193 -5.775 4.055 -0.0001
C -2.014 2.738 3.205 -0.0005
C -1.748 -2.333 3.758 -0.0014
F -2.870 3.429 3.924 -0.0002
C 2.445 3.078 -2.687 0.0006
H 3.123 1.502 3.303 0.0021
H -4.491 -0.922 -0.064 0.0002
C 4.497 -0.948 2.912 0.0002
C -0.451 2.586 -9.076 0.0000
C -4.195 -1.777 -2.556 0.0007
C -3.070 -1.062 -2.191 0.0016
H 3.069 -0.262 -2.553 -0.0006
O -2.637 1.816 -1.087 0.0176
H 5.775 -2.401 1.994 0.0000
C 1.449 -0.961 4.931 0.0000
C 0.676 2.743 -8.249 0.0000
F -1.168 4.416 -0.170 -0.0002
C -1.359 -3.682 4.309 -0.0005
N -0.586 -1.413 3.723 -0.0094
C 6.402 -1.939 3.996 0.0001
C 2.287 1.730 -2.370 -0.0017
C -2.757 -0.320 -4.465 0.0006
H -1.713 -5.602 7.078 0.0000
H 6.790 -1.276 5.999 0.0000
H 2.993 1.255 5.043 0.0000
H 0.413 -6.443 3.456 0.0000
N -3.350 3.035 0.972 0.0029
H -2.393 -3.410 6.173 0.0000
C -0.600 -6.156 5.329 0.0001
C 0.702 2.238 -6.966 0.0000
H -3.139 -1.059 1.065 0.0001
H 5.019 0.456 -3.907 0.0000
C 1.126 1.322 -1.588 0.0048
F -1.438 1.805 3.981 0.0001
S -3.336 3.007 -0.613 0.0014
H -4.762 -2.353 -1.842 0.0000
C 4.236 -0.193 4.054 0.0000
H 1.711 3.797 -2.342 -0.0001
H -0.265 -4.250 2.545 -0.0010
N 1.800 0.002 3.884 -0.0007
H -0.459 -0.039 5.307 -0.0005
O 0.932 0.080 -1.279 -0.1072
Br -6.129 -2.719 -4.389 0.0001
C 5.574 -1.819 2.885 0.0000
C -1.579 1.919 -8.644 0.0000
H 4.865 0.270 6.053 0.0000
H 3.663 4.523 -3.696 -0.0001
S 1.300 1.168 1.560 0.0615
H 1.862 -1.947 4.706 0.0000
C -2.362 -0.346 -3.142 0.0014
H -2.133 -2.417 2.749 -0.0009
O -4.590 3.324 -1.193 0.0029
H -1.507 1.277 -2.593 0.0003
H -0.356 -1.752 5.763 0.0000
H -2.447 1.800 -9.280 0.0000
S -0.387 -1.637 1.107 -0.0666
C 1.081 0.062 2.771 0.0051
O -2.587 -1.015 -0.898 0.0289
C -3.898 -1.031 -4.837 0.0002
C 3.210 0.783 -2.804 0.0005
F -1.789 4.277 -2.243 0.0000
H -0.310 -7.121 5.723 0.0000
N -0.775 0.954 -5.352 0.0002
S -2.882 1.851 1.852 0.0046
N -2.552 0.692 -6.672 0.0000
C -0.048 -1.011 5.031 -0.0007
F -2.865 5.562 -0.871 0.0000
C -0.444 1.569 -6.540 0.0000
H 1.540 3.272 -8.629 0.0000
O 0.237 2.119 -1.177 -0.0117
C 3.054 0.748 4.080 0.0027
C -2.040 0.438 -5.505 0.0000
C -0.017 -0.985 2.631 -0.0029
I 6.081 3.132 -5.018 0.0007
C -1.572 1.398 -7.350 0.0000
C 5.062 -0.318 5.162 0.0002
C -3.531 -1.402 0.117 0.0015
Mn -0.663 0.419 -0.266 4.0127
H 1.568 2.359 -6.325 0.0000
H -0.187 0.820 -4.549 0.0000
C -2.211 4.424 -0.991 0.0000
H -4.216 -1.004 -5.869 0.0000